Activity
Find the line underneath that holds "-15.97 0.54", then repeat that line and all lines after it there, please.

Input
Here is a molecular structure, C18H54BrF3FeN16O12 at a distorted geometry from the OMol25 dataset. Energies are from ωB97M-V/def2-TZVPD.

The geometry in XYZ format:
```
105
Properties=species:S:1:pos:R:3:mulliken_charge:R:1
Br -3.17 -23.51 -12.83 -0.21
Fe -1.66 -22.13 -14.21 1.46
F 1.59 -24.17 -16.85 -0.23
F 3.16 -23.58 -15.48 -0.29
F 2.65 -25.56 -15.75 -0.28
O 0.17 -27.26 -9.96 -0.56
O -0.16 -23.47 -14.71 -0.78
O 1.31 -22.42 -8.09 -0.67
O -2.49 -19.60 -10.59 -0.77
O -7.77 -24.82 -13.66 -0.53
O -2.32 -26.49 -15.57 -0.72
O -0.56 -21.30 -12.88 -0.62
O 1.62 -23.79 -13.27 -0.12
O -5.58 -26.58 -8.97 -0.71
O -2.81 -22.56 -15.91 -0.33
O -0.91 -20.57 -15.40 -0.30
O -2.96 -20.62 -13.90 -0.06
N -4.67 -26.31 -11.03 0.17
N 0.02 -20.24 -11.00 -0.04
N -0.91 -22.17 -8.33 -0.05
N -4.45 -22.23 -17.41 -0.37
N 0.32 -20.01 -17.15 -0.37
N -3.96 -20.24 -8.95 -0.44
N -3.63 -18.98 -15.18 -0.33
N -0.23 -23.46 -6.84 -0.37
N -2.15 -19.04 -8.52 -0.33
N -3.98 -26.74 -14.05 0.24
N -3.86 -24.27 -16.88 -0.09
N 1.52 -20.84 -12.41 -0.19
N 0.46 -18.84 -15.49 -0.36
N -4.95 -24.59 -9.78 -0.19
N -2.83 -28.46 -14.71 -0.42
N -3.80 -18.66 -13.05 -0.36
C 1.02 -24.24 -14.47 -0.20
C -3.40 -19.49 -13.99 0.28
C -1.20 -25.50 -9.60 -0.27
C -0.95 -26.61 -11.93 0.09
C 2.63 -24.14 -11.15 -0.92
C 0.27 -20.82 -12.11 0.35
C 2.09 -24.37 -15.66 0.76
C 2.71 -24.57 -12.61 -0.45
C -7.05 -25.72 -15.90 -0.68
C -2.86 -19.60 -9.44 0.60
C 0.17 -22.62 -7.73 0.68
C -2.98 -27.19 -14.84 0.72
C -0.07 -19.89 -15.97 0.54
C -7.86 -24.72 -15.11 0.37
C -5.15 -25.91 -9.89 0.52
C -1.08 -26.75 -10.38 0.26
C -7.44 -23.32 -15.57 -0.91
C -3.63 -23.02 -16.75 0.36
H 3.70 -24.43 -13.04 0.37
H -4.43 -24.12 -10.51 -0.03
H -1.14 -25.63 -8.52 0.34
H -3.36 -24.99 -16.38 -0.06
H -4.54 -25.58 -11.72 -0.07
H -2.11 -28.88 -15.28 0.26
H 0.34 -18.51 -14.55 0.19
H 2.20 -20.32 -11.86 0.25
H -6.85 -24.61 -13.50 0.30
H 0.42 -24.00 -6.29 0.24
H 0.82 -19.85 -10.52 0.11
H -7.71 -23.01 -16.58 0.42
H -0.84 -19.80 -10.71 0.11
H 1.01 -18.33 -16.17 0.12
H -0.69 -27.55 -12.40 0.49
H -1.83 -22.37 -7.98 0.16
H -3.56 -28.98 -14.24 0.15
H -4.48 -20.81 -9.59 0.20
H -5.03 -22.64 -18.13 0.19
H -0.17 -20.62 -17.79 0.25
H 0.60 -25.23 -14.33 0.05
H -4.19 -20.29 -7.96 0.20
H -7.42 -26.71 -15.64 0.30
H -8.93 -24.88 -15.28 0.31
H -2.21 -25.13 -9.81 -0.01
H -3.98 -25.76 -13.82 -0.70
H -5.09 -24.28 -8.83 0.16
H -0.09 -26.02 -12.24 -0.47
H 0.12 -28.21 -9.95 0.36
H -0.45 -24.74 -9.83 -0.21
H -3.51 -18.82 -12.10 0.27
H -1.21 -23.68 -6.86 0.15
H 2.89 -23.10 -10.97 0.27
H -4.70 -27.31 -13.63 0.22
H -1.36 -18.52 -8.88 0.25
H -2.12 -19.38 -7.57 0.23
H 2.45 -25.62 -12.72 0.33
H -3.40 -19.46 -16.04 0.16
H -4.28 -21.24 -17.33 0.19
H 1.03 -19.40 -17.51 0.15
H -4.83 -27.28 -11.27 0.13
H -4.61 -24.48 -17.52 0.15
H -3.83 -17.68 -13.32 0.21
H 1.68 -24.35 -10.67 -0.12
H 3.44 -24.58 -10.57 0.53
H -0.79 -21.53 -9.11 -0.10
H -6.98 -25.56 -16.97 0.41
H -7.85 -22.52 -14.95 0.40
H -1.88 -26.38 -12.45 -0.10
H -3.87 -18.00 -15.25 0.16
H -1.94 -27.40 -10.25 0.40
H -6.39 -23.04 -15.49 -0.12
H -5.99 -25.68 -15.65 -0.19
H 1.77 -21.31 -13.27 0.14
```

Summary:
Multiplicity = 6
Frontier orbital gap (alpha / beta) = 8.8 / 7.3 eV
Max |F| = 8.43 eV/A
Total charge = +1

Here is 3 unconnected molecules or ions with the total composition C18H54BrN6O2P4 at a distorted geometry from the OMol25 dataset. Energies are from ωB97M-V/def2-TZVPD.

The geometry in XYZ format:
```
85
Properties=species:S:1:pos:R:3:mulliken_charge:R:1
Br -4.04 -2.74 -3.95 -0.31
P 3.16 0.47 1.31 0.74
P -3.03 2.01 1.08 0.88
P 2.67 -1.32 -3.85 -0.16
P 0.63 -1.71 -3.16 1.41
O 2.34 0.54 0.00 -0.58
O -1.80 2.18 0.16 -0.73
N 2.34 -0.95 1.85 0.38
N 4.11 0.40 2.81 -0.03
N -4.04 2.84 -0.07 0.11
N 2.31 1.86 1.94 0.19
N -4.44 1.80 2.15 -0.07
N -3.14 0.31 0.74 0.48
C 3.10 0.53 -3.43 -0.68
C 2.05 -1.32 3.23 -0.91
C -1.43 -3.34 -5.31 -0.75
C 5.29 -0.49 2.68 -1.18
C -1.23 -2.17 -2.81 -0.58
C -5.18 2.25 -0.75 -1.33
C 1.46 1.83 3.13 -1.09
C -3.36 3.72 -1.04 -0.99
C 3.69 -3.99 -2.94 -0.70
C -4.04 1.37 3.51 -1.16

Written answer
C -0.07 -19.89 -15.97 0.54
C -7.86 -24.72 -15.11 0.37
C -5.15 -25.91 -9.89 0.52
C -1.08 -26.75 -10.38 0.26
C -7.44 -23.32 -15.57 -0.91
C -3.63 -23.02 -16.75 0.36
H 3.70 -24.43 -13.04 0.37
H -4.43 -24.12 -10.51 -0.03
H -1.14 -25.63 -8.52 0.34
H -3.36 -24.99 -16.38 -0.06
H -4.54 -25.58 -11.72 -0.07
H -2.11 -28.88 -15.28 0.26
H 0.34 -18.51 -14.55 0.19
H 2.20 -20.32 -11.86 0.25
H -6.85 -24.61 -13.50 0.30
H 0.42 -24.00 -6.29 0.24
H 0.82 -19.85 -10.52 0.11
H -7.71 -23.01 -16.58 0.42
H -0.84 -19.80 -10.71 0.11
H 1.01 -18.33 -16.17 0.12
H -0.69 -27.55 -12.40 0.49
H -1.83 -22.37 -7.98 0.16
H -3.56 -28.98 -14.24 0.15
H -4.48 -20.81 -9.59 0.20
H -5.03 -22.64 -18.13 0.19
H -0.17 -20.62 -17.79 0.25
H 0.60 -25.23 -14.33 0.05
H -4.19 -20.29 -7.96 0.20
H -7.42 -26.71 -15.64 0.30
H -8.93 -24.88 -15.28 0.31
H -2.21 -25.13 -9.81 -0.01
H -3.98 -25.76 -13.82 -0.70
H -5.09 -24.28 -8.83 0.16
H -0.09 -26.02 -12.24 -0.47
H 0.12 -28.21 -9.95 0.36
H -0.45 -24.74 -9.83 -0.21
H -3.51 -18.82 -12.10 0.27
H -1.21 -23.68 -6.86 0.15
H 2.89 -23.10 -10.97 0.27
H -4.70 -27.31 -13.63 0.22
H -1.36 -18.52 -8.88 0.25
H -2.12 -19.38 -7.57 0.23
H 2.45 -25.62 -12.72 0.33
H -3.40 -19.46 -16.04 0.16
H -4.28 -21.24 -17.33 0.19
H 1.03 -19.40 -17.51 0.15
H -4.83 -27.28 -11.27 0.13
H -4.61 -24.48 -17.52 0.15
H -3.83 -17.68 -13.32 0.21
H 1.68 -24.35 -10.67 -0.12
H 3.44 -24.58 -10.57 0.53
H -0.79 -21.53 -9.11 -0.10
H -6.98 -25.56 -16.97 0.41
H -7.85 -22.52 -14.95 0.40
H -1.88 -26.38 -12.45 -0.10
H -3.87 -18.00 -15.25 0.16
H -1.94 -27.40 -10.25 0.40
H -6.39 -23.04 -15.49 -0.12
H -5.99 -25.68 -15.65 -0.19
H 1.77 -21.31 -13.27 0.14
```

Summary:
Multiplicity = 6
Frontier orbital gap (alpha / beta) = 8.8 / 7.3 eV
Max |F| = 8.43 eV/A
Total charge = +1

Here is 3 unconnected molecules or ions with the total composition C18H54BrN6O2P4 at a distorted geometry from the OMol25 dataset. Energies are from ωB97M-V/def2-TZVPD.

The geometry in XYZ format:
```
85
Properties=species:S:1:pos:R:3:mulliken_charge:R:1
Br -4.04 -2.74 -3.95 -0.31
P 3.16 0.47 1.31 0.74
P -3.03 2.01 1.08 0.88
P 2.67 -1.32 -3.85 -0.16
P 0.63 -1.71 -3.16 1.41
O 2.34 0.54 0.00 -0.58
O -1.80 2.18 0.16 -0.73
N 2.34 -0.95 1.85 0.38
N 4.11 0.40 2.81 -0.03
N -4.04 2.84 -0.07 0.11
N 2.31 1.86 1.94 0.19
N -4.44 1.80 2.15 -0.07
N -3.14 0.31 0.74 0.48
C 3.10 0.53 -3.43 -0.68
C 2.05 -1.32 3.23 -0.91
C -1.43 -3.34 -5.31 -0.75
C 5.29 -0.49 2.68 -1.18
C -1.23 -2.17 -2.81 -0.58
C -5.18 2.25 -0.75 -1.33
C 1.46 1.83 3.13 -1.09
C -3.36 3.72 -1.04 -0.99
C 3.69 -3.99 -2.94 -0.70
C -4.04 1.37 3.51 -1.16